Safety & Diversity

Twin Cities Pagan Pride and Paganicon has always valued our attendees’ safety and well-being. When we started discussing creating a formal safety policy for our organization and events, our goal was to create a structure for preventing, reporting, and responding to threats such as sexual misbehavior (including harassment, sexual abuse, sexual assault), physical, mental and emotional abuse (including assault, bullying, harassment, exclusion and inclusion issues, and hate speech), and physical safety issues (including privacy, accessibility, infrastructure, substance abuse). These will be defined below.
As Pagans, we are tolerant of other people’s viewpoints and different codes of ethics. We are witches, Wiccans, Druids, Asatruars, Heathens, Polytheists, eclectic Pagans, and more. We do not have one set of ethics that can guide us in making decisions and creating boundaries. We respect others’ beliefs and practices in their own faith groups and homes, but in order to facilitate a large group event composed of people with many different views, we find it necessary to provide strong guidelines that all participants must follow in order to ensure the wellbeing of all our participants.
As a registered non-profit organization, the first priority of TCPP is to obey all Minnesota laws. If it’s illegal in Minnesota, it is against TCPP’s safety policy and will be referred to law enforcement. But second, we feel that Pagans, especially community leaders, teachers, and organizers, must be held to a higher standard, and therefore this policy includes some actions that are not illegal but are unethical and antithetical to the Pagan understanding of bodily autonomy, equal rights and equal access, and respect for each other’s beliefs and boundaries. Therefore, even legal behavior, if unwelcome and against our policies, may lead to asking a person to leave and/or barring someone from future participation at our events.
The full text of our safety policy, can be downloaded here.
Below is a summary of the key points.
Definitions of Unwelcome Behavior
Criminal – sexual assault and rape, statutory rape, stalking, violating restraining orders, and drugging victims in order to take advantage of their incapacitation.
Criminal regarding minors – sexual activity with children under the age of consent (16); sexual activity with minors under the age of 18 when the adult is in a position of authority over them (teachers, speakers, mentors, clergy, etc.); inviting or persuading a child under 16 to engage in sexual activity with anyone else.
Non-criminal – unwelcome or unwanted lewd comments, sharing or taking of photographs of a sexual or private nature, physical contact or groping, invasion of personal space, and any ongoing sexual pursuit or harassing flirting. If it makes a person uncomfortable and the antagonist has been asked to stop already, it is an infringement regardless of actual physical harm. If it is wanted or welcome, it is not an infringement.
TCPP does not tolerate any form of sexual misbehavior and will take action to either educate or bar violators from its events. TCPP strongly believes in the principles of enthusiastic consent between legal adults. “No” means no, “ummmm…” means no, “not right now” means no, “I’m not OK with this” means no… but “YES!!” and “omigods yes!” means yes. Our goal is for everyone to enjoy themselves and their sexuality but when told no or “not interested,” to be respectful of that person’s boundaries and wishes. No one has a free pass to persist in unwelcome sexual advances. Our correlating goal is for all participants to be confident in expressing their boundaries and wishes and speaking up when uncomfortable.
Physical – assault, threats of bodily injury, nonconsensual rough play, forcing a person into any physical situation against their will through use of force or threats.
Mental and emotional – intimidation, harassment, bullying, personal insulting that is specifically to make the target feel ill at ease, angry, or sad; the express exclusion of certain classes of people based on gender or sex, sexual orientation, race, belief system, age (except in the case of minors when such activity would be prohibited by law to them), or political affiliation from participating in any TCPP events (programming, rituals, party suites, art show, vendor room, or any other official spaces).
Our aim is not to shut down dialogue altogether. Constructive discussions on thorny topics are welcome, but only so far as they are clearly labeled as such in the program so participants can decide for themselves whether such issues would be triggering for them or not. All such discussions/panels are expected to be conducted with respect for all parties involved.
Our goal is to create a welcoming atmosphere where no one has to fear for their immediate safety, be insulted for their skin color, their body, or their choices, be barred from attending certain events or rituals that are ultimately hosted by TCPP.
In short, we are committed to making our events a safe space. We absolutely will not tolerate hate speech, racism, sexism, homophobia, transphobia, intimidating or violent speech, ageism (in either direction), ableism, or bullying of any kind.
In addition, we support the right to physical safety, which includes: privacy of name and image, accessibility to locations of our classes and/or rituals, access bathroom facilities within a reasonable distance, feeling safe from bodily harm and unwanted substances, and personal property. Anyone impinging on these rights is violating our policy.
Illegal behavior will not be tolerated in event spaces, including but not limited to use of illegal drugs or substances, theft, fraud, domestic abuse, violating restraining orders, etc. People breaking laws will be asked to leave; if they do not leave on their own accord, law enforcement or hotel security will be called.
Twin Cities Pagan Pride’s Complaint Process
Records of crystals that have nothing to do with the article >
(1)
DFT (PBEsol) results for a relaxed Li3Nb2VO6 crystal.

Unit cell a=2.8615 b=6.1028 c=6.8885 alpha=106.16 beta=101.99 gamma=90.00
Closest atoms and distances in Å follow each position.
Sites, in units of the cell vectors:
Li: 0.0000 0.0000 0.0000  6 O 2.01-2.18
Li: 0.6571 0.3393 0.3142  5 O 2.04-2.15
Li: 0.3429 0.6607 0.6858  5 O 2.04-2.15
Nb: 0.6756 0.8526 0.3512  6 O 2.14-2.21
Nb: 0.3244 0.1474 0.6488  6 O 2.14-2.21
V: 0.0000 0.5000 0.0000  6 O 2.01-2.05
O: 0.1583 0.5846 0.3165  1 V 2.05, 2 Li 2.07, 2 Nb 2.14
O: 0.8417 0.4154 0.6835  1 V 2.05, 2 Li 2.07, 2 Nb 2.14
O: 0.8441 0.8988 0.6883  3 Li 2.01-2.04, 3 Nb 2.16-2.21
O: 0.1559 0.1012 0.3117  3 Li 2.01-2.04, 3 Nb 2.16-2.21
O: 0.4912 0.2644 0.9825  2 V 2.01, 3 Li 2.15-2.18, 1 Nb 2.16
O: 0.5088 0.7356 0.0175  2 V 2.01, 3 Li 2.15-2.18, 1 Nb 2.16



(2)
DFT (PBEsol) results for a relaxed Li3NbV3O8 crystal.

Unit cell a=5.6608 b=5.6597 c=5.9933 alpha=61.84 beta=61.82 gamma=59.99
Closest atoms and distances in Å follow each position.
Sites, in units of the cell vectors:
Li: 0.0000 0.5000 0.5000  6 O 2.11
Li: 0.5000 0.0000 0.5000  6 O 2.11
Li: 0.0000 0.0000 0.5000  6 O 2.11
Nb: 0.0000 0.0000 0.0000  6 O 2.05
V: 0.5000 0.0000 0.0000  6 O 2.01
V: 0.0000 0.5000 0.0000  6 O 2.01
V: 0.5000 0.5000 0.0000  6 O 2.01
O: 0.7444 0.7443 0.7669  3 V 2.01, 3 Li 2.11
O: 0.2556 0.2557 0.2331  3 V 2.01, 3 Li 2.11
O: 0.2495 0.7385 0.7625  2 V 2.01, 1 Nb 2.05, 2 Li 2.11
O: 0.7505 0.2615 0.2375  2 V 2.01, 1 Nb 2.05, 2 Li 2.11
O: 0.7387 0.2493 0.7625  2 V 2.01, 1 Nb 2.05, 2 Li 2.11
O: 0.2495 0.2493 0.7625  2 V 2.01, 1 Nb 2.05, 2 Li 2.11
O: 0.2613 0.7507 0.2375  2 V 2.01, 1 Nb 2.05, 2 Li 2.11
O: 0.7505 0.7507 0.2375  2 V 2.01, 1 Nb 2.05, 2 Li 2.11



(3)
DFT (PBEsol) results for a relaxed Li3Nb4VO12 crystal.

Unit cell a=5.1005 b=5.5731 c=7.5383 alpha=96.30 beta=90.27 gamma=90.30
Closest atoms and distances in Å follow each position.
Sites, in units of the cell vectors:
Li: 0.5086 0.9327 0.7841  4 O 2.00-2.21
Li: 0.9961 0.4499 0.7831  3 O 1.98-2.02
Li: 0.5000 0.9278 0.2808  3 O 1.94-1.97
Nb: 0.0131 0.0153 0.0016  4 O 1.89-2.07
Nb: 0.4944 0.5104 0.4862  6 O 1.99-2.09
Nb: 0.9961 0.0053 0.5047  6 O 1.92-2.15
Nb: 0.5091 0.5063 0.9820  5 O 1.90-2.03
V: 0.9982 0.3858 0.3051  6 O 2.01-2.06
O: 0.3064 0.2016 0.4047  1 Li 1.97, 2 Nb 2.00-2.11, 1 V 2.06
O: 0.1372 0.0348 0.7426  2 Nb 1.92-2.07, 1 Li 2.01
O: 0.3237 0.8512 0.0493  1 Nb 1.89, 1 Li 1.96
O: 0.1710 0.7000 0.4045  2 Nb 2.00-2.09, 1 V 2.02
O: 0.8021 0.7265 0.9203  2 Nb 1.97-2.02, 1 Li 2.02
O: 0.3662 0.5336 0.7359  1 Li 1.99, 2 Nb 1.99-2.01
O: 0.6526 0.5350 0.2347  2 Nb 2.03-2.08, 1 V 2.05
O: 0.1754 0.3675 0.0659  2 Nb 2.00-2.13, 1 V 2.01
O: 0.8304 0.3470 0.5488  1 Li 1.98, 2 Nb 2.02-2.08, 1 V 2.06
O: 0.7002 0.2219 0.9080  1 Nb 1.90, 1 Li 2.02
O: 0.8506 0.0474 0.2421  1 Li 1.94, 2 Nb 1.99-2.15, 1 V 2.03
O: 0.6686 0.8409 0.5452  2 Nb 1.94-2.04, 1 Li 2.00



(4)
DFT (PBEsol) results for a relaxed Li2NbV3O8 crystal.
TCPP is committed to ensuring the safety and wellbeing of all participants and will respond effectively and proactively to complaints. If someone is putting their hands on you or speaking to you in a way that is inappropriate or uncomfortable or threatening, a member of the TCPP board need to know, so that we can take it seriously and take some course of action, even if that’s just listening. If either the board member or the participant feels the behavior was problematic enough, the board member will record a formal complaint by asking all pertinent questions and writing them down on our complaint intake form.
Formal complaints will be recorded in the Con Ops room or a private room if more privacy is desired. Details will include full name or badge name of the person whose behavior was inappropriate; their physical description (to avoid mistaken identity, badge swap, etc.); their behavior in full context; location, date and time of behavior; names of any other witnesses of the behavior; and any physical evidence on the person of the complainant.
We all know bullying and harassment when we see it: it is meant to be intimidating and unwelcoming. However, when it comes to sexuality there can be a gray area as to what is welcome and what is not, depending on both people in the situation. Therefore, if the complaint is about inappropriate sexual behavior, the board member will ask whether the aggressor was asked to stop the behavior. We want to stress that this does not reflect on the credibility of the complainant—we do not wish to engage in victim blaming—but rather to discern whether the fact that the behavior was unwanted and unwelcome was understood by the aggressor in the first place so that we know whether further education is required.
Since certain people may be unaware of social cues for a variety of reasons, or mistakenly believe that “anything goes” at a Pagan conference, we must stress that when a behavior is unwelcome or unwanted, the target of the behavior should clearly communicate that the person is crossing the target’s boundaries and ask them to stop if they are able to do so.
_Someone pasted records of crystals at this point_
+++
Record 1
# PmNdFeCu PBE optimized geometry
# total moment = 0.284 μB per atom
# space group = No. 216
# crystal system = cubic
# DOS(E_F) = 5.9 states/eV per cell
data_PmNdFeCu
_space_group_name_H-M_alt 'P 1'
_space_group_IT_number 1
_space_group_name_Hall 'P 1'
_cell_length_a 4.9868
_cell_length_b 4.9868
_cell_length_c 4.9868
_cell_angle_alpha 60.00
_cell_angle_beta 60.00
_cell_angle_gamma 60.00
loop_
_atom_site_label
_atom_site_type_symbol
_atom_site_fract_x
_atom_site_fract_y
_atom_site_fract_z
Nd1 Nd 0.0000 0.0000 0.0000
Fe1 Fe 0.7500 0.7500 0.7500
Cu1 Cu 0.2500 0.2500 0.2500
Pm1 Pm 0.5000 0.5000 0.5000


Record 2
# NdSmFeCu PBE optimized geometry
# total moment = 0.286 μB per atom
# space group = No. 216
# crystal system = cubic
# DOS(E_F) = 6.0 states/eV per cell
data_NdSmFeCu
_space_group_name_H-M_alt 'P 1'
_space_group_IT_number 1
_space_group_name_Hall 'P 1'
_cell_length_a 4.9732
_cell_length_b 4.9732
_cell_length_c 4.9732
_cell_angle_alpha 60.00
_cell_angle_beta 60.00
_cell_angle_gamma 60.00
loop_
_atom_site_label
_atom_site_type_symbol
_atom_site_fract_x
_atom_site_fract_y
_atom_site_fract_z
Nd1 Nd 0.5000 0.5000 0.5000
Cu1 Cu 0.2500 0.2500 0.2500
Sm1 Sm 0.0000 0.0000 0.0000
Fe1 Fe 0.7500 0.7500 0.7500


Record 3
# TbNdFeCu PBE optimized geometry
# total moment = 0.290 μB per atom
# space group = No. 216
# crystal system = cubic
# DOS(E_F) = 6.4 states/eV per cell
data_TbNdFeCu
_space_group_name_H-M_alt 'P 1'
_space_group_IT_number 1
_space_group_name_Hall 'P 1'
_cell_length_a 4.9307
_cell_length_b 4.9307
_cell_length_c 4.9307
_cell_angle_alpha 60.00
_cell_angle_beta 60.00
_cell_angle_gamma 60.00
loop_
_atom_site_label
_atom_site_type_symbol
_atom_site_fract_x
_atom_site_fract_y
_atom_site_fract_z
Nd1 Nd 0.0000 0.0000 0.0000
Tb1 Tb 0.5000 0.5000 0.5000
Fe1 Fe 0.7500 0.7500 0.7500
Cu1 Cu 0.2500 0.2500 0.2500


Record 4
# NdYFeCu PBE optimized geometry
# total moment = 0.300 μB per atom
# space group = No. 216
# crystal system = cubic
# DOS(E_F) = 6.8 states/eV per cell
data_NdYFeCu
_space_group_name_H-M_alt 'P 1'
_space_group_IT_number 1
_space_group_name_Hall 'P 1'
_cell_length_a 4.9351
_cell_length_b 4.9351
_cell_length_c 4.9351
_cell_angle_alpha 60.00
_cell_angle_beta 60.00
_cell_angle_gamma 60.00
loop_
_atom_site_label
_atom_site_type_symbol
_atom_site_fract_x
_atom_site_fract_y
_atom_site_fract_z
Y1 Y 0.2500 0.2500 0.2500
Nd1 Nd 0.7500 0.7500 0.7500
Fe1 Fe 0.5000 0.5000 0.5000
Cu1 Cu 0.0000 0.0000 0.0000


One value per record, in order, for E_tot: -5.4298, -5.4293, -5.4344, -5.8917 eV per atom.


DFT (meta-GGA SCAN) results for a crystal of MgCd2Hg relaxed with PBEsol.

```
data_MgCd2Hg
_cell_length_a 6.2201
_cell_length_b 6.1266
_cell_length_c 5.3022
_cell_angle_alpha 90.00
_cell_angle_beta 124.47
_cell_angle_gamma 90.00
_symmetry_space_group_name_H-M 'C 1 2 1'
_symmetry_Int_Tables_number 5
_symmetry_space_group_name_Hall 'C 2y'
loop_
_atom_site_label
_atom_site_type_symbol
_atom_site_fract_x
_atom_site_fract_y
_atom_site_fract_z
+++
Therefore we encourage all participants to draw their own boundaries and communicate them firmly and effectively, no matter the time, person and circumstance. For instance, just because you’re drinking alcohol in a party room does not mean you are not able to withdraw or say no; just because the aggressor is a teacher, public figure, or in some position of authority does not mean you must remain silent. Everyone has a different comfort zone and the best thing we can all do is to be completely clear and cognizant of our own. If you are shy, introverted, or uncomfortable about saying no, you may ask for help from a friend, volunteer, or board member, either in communicating your boundaries or in building your own assertiveness.
If a person had knowledge or was told that his or her behavior was unwanted and unwelcome and continued the behavior, that is sexual misbehavior as defined above and should be filed in a formal complaint.
Both complainant and board member will sign the complaint. The person against whom the complaint was lodged has the right to know what is contained in the complaint, but the complainant may request anonymity, and his or her name will not be given to the person.
Consequences of Formal Complaints
Our main goal in taking complaints is to endow our organization with the ability to remove persons of concern from positions of trust in our community, even if they have not formally been convicted of a crime, when there have been multiple credible, documented allegations of misconduct made. If someone has been accused of a crime, it is not our place to declare them guilty or innocent; but whether we continue to trust a person after reported instances of misbehavior and allow them access to our events, putting our participants’ safety in question, is a different matter. It bears repeating that TCPP will not take any action based on rumors or guilt by association, but only on actual reports of victims and witnesses who were directly involved.
Here are our formal process steps after a complaint has been generated:
- Board members will meet to assess the complaint as quickly as possible (during the event or immediately afterwards) and determine whether this is the first complaint against the individual, or if there have been previous related complaints.
- They will determine the level of risk to see if the individual should be immediately ejected or barred from future events; any witnesses to the incident as identified by the complainant will be sought out for input here.
- If the complaint is an isolated one or minor enough not to cause serious harm, two or three board members will have a talk with the individual named in the complaint, behind shut doors in complete confidentiality. The board members will ask for their side of the story, whether they are aware their behavior was deemed inappropriate or unwelcome, and assess whether the person can learn from this situation (i.e. social cues, etc.) They may be asked to read the definitions of unwelcome behavior as detailed above in our policy. The board members will inform the offensive person that their behavior going forward will be monitored and further complaints may lead to ejection from the event.
- If the complaint represents a clear violation of our policies AND either recurred in several independent similar complaints (all showing a particular pattern of behavior, whether sexual harassment, bullying, physical assault, and so on), has been corroborated by witnesses, is physically provable (i.e. video or audio recording of incident) OR is admitted to by the perpetrator; then TCPP will immediately ask the individual to leave and make note of this decision in our records. No money will be refunded.
- Following the event, the board will discuss whether the individual will be welcome at future events.
In case of formal complaints of criminal behavior, TCPP will work with the complainant in contacting law enforcement. TCPP is not and should not be a substitute for the legal process when it comes to illegal behavior. Our own internal process of discernment as described above should not be understood to mean that we take it upon ourselves to determine the veracity of claims of criminal sexual abuse, domestic abuse, violence, theft, etc. or the guilt or innocence of our participants. However, we will retain records of the facts as reported to us that can be provided to law enforcement if requested, if criminal activity is alleged. Persons accused of criminal behavior will be asked to leave, but may be eligible to attend future events if there have been no other similar complaints against them in the past and they are exonerated of the alleged crime via the legal system.
Twin Cities Pagan Pride’s Policy on Minors
Individuals under the age of 18 must have the permission of a parent or guardian to attend, and individuals under the age of 16 must be accompanied by their parent or guardian. Parents must accept full responsibility for their child 100% of the time, as Paganicon does not offer any childcare. All children that are independently mobile MUST have a name badge purchased for them; all individuals under the age of 18 will be given a badge specifically indicating their Minor status. In addition, all children under the age of 12 will have the name and phone number of the responsible adult accompanying them on the back of their name badge.
Teen volunteers must be supervised by an adult volunteer at all times during their shifts, although again it must be stressed that this does not constitute “child care” but only applies to those mature enough to volunteer in a productive manner under supervision. TCPP strives to ensure that teenaged volunteers will never be left alone with one unrelated adult in a private location.
Teens are barred from attending any programming of an explicit sexual nature because of MN state laws, and parties or private rooms serving alcohol unless accompanied by a parent or legal guardian.
Child abuse can happen to teens as well as small children. Child abuse generally covers physical and/or emotional harm, sexual abuse, neglect, negligence, and exploitation. If a child is in immediate danger, call 911. When a complaint of abuse or neglect of a legal minor is disclosed per our complaint system detailed above, or where there is reasonable cause to suspect such abuse or neglect, or a person has knowledge of, or observes a child being subjected to, conditions that would reasonably result in harm to the child, the person to whom the disclosure is made or who suspects such abuse shall immediately report the suspicion and the information on which it is based. Under Minnesota law, members of clergy are mandated reporters of child abuse; we hope that everyone participating in our events will act as voluntary reporters if need be.
TCPP will have full details of how and where to report child abuse available at all times in our Con Ops room. Any incidents should be reported orally within 24 hours, in written form within 72 hours. We ask that any of our participants who are clergy and are required to report evidence notify the TCPP board if they haven’t already (i.e. if the report is not being made by a TCPP board member). Full disclosure of details is not required, but helpful in meeting our goals of becoming a safer organization, and will be treated with complete confidentiality.
Ongoing Goals and Updates
- To provide more education and information to participants at our events about consent culture
- To guide the socially awkward among us into appropriate behavior, as a group
- To treat all complaints with respect
- To open and engage in further dialog around any issues that arise to cause friction in our events, whether as part of these guidelines or something else
- To create a space that feels safe and welcoming to all people, of all races, ages, genders, sexual orientations, and religious beliefs
- To ensure ongoing transparency around these guidelines and issues
These guidelines shall be reviewed every year at our Annual Meeting and updated as needed. These guidelines shall also be updated at any time in the future if Paganicon or TCPP ever creates or employs its own security team, in order to reflect their priorities, responses, responsibilities, and limitations. Finally, these guidelines shall be updated at any time in the future if we decide to include children, offer child supervision at our events, children’s programming, mentoring or coaching of minors, etc.
If you have any comments or feedback on our Safety Policy, please email